‘Unmortgaged millennials’: What a new study reveals about millennial homebuyers

____________
LiVP2HO8 | the Materials Project | GGA+U | relaxed; total magnetic moment = 4.00 Bohr magnetons per cell
1.0
7.998 0.000 0.000
0.000 7.750 0.000
0.000 3.586 9.033
O P V Li H
32 8 4 4 4
Cartesian
1.386 7.491 7.794
4.413 1.273 1.309
0.414 10.064 7.724
7.496 4.477 5.363
0.328 4.723 8.195
1.368 9.034 5.385
7.639 2.749 0.854
6.622 6.159 3.634
0.423 8.247 3.221
2.595 3.622 7.807
2.620 3.405 0.900
3.561 4.357 3.235
5.385 3.845 1.239
2.589 1.718 3.166
4.422 3.089 5.812
1.409 5.611 3.165
2.622 5.177 5.399
7.578 5.143 1.308
6.619 7.931 8.133
5.408 5.725 5.868
3.579 6.193 7.725
3.640 8.587 8.179
7.560 6.979 5.797
5.353 4.065 8.140
6.589 9.618 5.867
6.594 7.714 1.225
4.327 6.613 0.838
4.499 8.332 5.342
3.497 6.860 3.669
0.500 3.005 3.691
1.354 7.272 0.893
5.367 2.302 3.647
5.227 9.653 5.131
2.768 7.330 8.433
6.752 5.818 5.121
5.192 7.843 0.605
2.752 5.518 3.912
1.228 1.683 3.902
6.767 4.007 0.600
1.193 3.493 8.428
4.073 2.856 2.283
3.919 4.566 6.766
7.918 6.770 2.267
0.074 8.481 6.749
6.945 3.590 7.041
1.037 3.893 2.036
5.036 7.444 6.997
2.946 7.746 1.991
7.947 3.837 4.596
3.947 7.500 4.437
3.937 9.304 8.956
7.936 2.032 0.076



Li4VP6H8O22 | the Materials Project | GGA+U | relaxed; total magnetic moment = 3.00 Bohr magnetons per cell
1.0
7.002 0.000 0.000
0.551 7.531 0.000
1.971 0.637 8.251
O P V Li H
22 6 1 4 8
Cartesian
6.026 1.795 0.630
5.764 3.134 7.519
3.152 7.141 3.897
3.498 6.372 7.621
6.857 3.526 4.542
3.498 1.918 7.493
2.169 1.808 2.759
1.464 7.188 1.990
0.812 4.078 1.623
2.668 4.641 3.709
6.373 1.027 4.354
4.915 5.637 2.925
3.963 7.494 1.529
7.355 6.359 5.493
8.060 0.980 6.262
5.561 0.674 6.723
5.084 2.619 2.869
8.712 4.090 6.628
3.760 5.033 0.732
4.440 5.549 5.382
6.026 6.249 0.758
4.609 2.530 5.327
5.776 2.529 4.189
4.679 6.044 1.362
7.367 7.831 5.741
2.157 0.336 2.510
4.845 2.123 6.889
3.748 5.638 4.063
0.000 0.000 0.000
1.837 2.972 4.833
7.687 5.195 3.418
3.000 3.427 1.880
6.524 4.740 6.371
2.110 3.527 7.327
3.833 6.238 6.685
5.691 1.930 1.567
2.171 4.950 6.707
7.353 3.218 1.544
5.238 2.039 0.069
7.415 4.641 0.924
4.287 6.129 8.183



Li2VPHO5 | the Materials Project | GGA+U | relaxed; total magnetic moment = 6.00 Bohr magnetons per cell
1.0
-2.494 4.305 -2.087
1.074 -2.300 -4.989
-5.218 -4.389 3.636
O P V Li H
10 2 2 4 2
Cartesian
-3.501 1.021 -1.293
-3.957 -2.280 0.050
-3.137 -3.405 -2.147
-5.584 -3.116 -1.650
-4.274 -4.787 -0.303
-2.364 2.403 -3.137
-5.749 0.195 0.623
-1.054 0.732 -1.790
-0.890 -2.579 -4.063
-2.681 -0.104 -3.490
-2.460 1.013 -2.434
-4.178 -3.397 -1.006
0.000 0.000 0.000
-2.609 -2.194 1.818
-1.273 -0.436 -4.844
-5.701 -1.078 -0.869
-5.366 -1.947 1.404
-0.937 -1.306 -2.571
-4.002 -2.094 -3.652
-2.636 -0.290 0.212



LiVP2HO8 | the Materials Project | GGA+U | relaxed; total magnetic moment = 4.00 Bohr magnetons per cell
1.0
-7.789 0.000 0.000
-0.015 -7.970 0.000
3.719 0.066 9.018
P O V Li H
8 32 4 4 4
Cartesian
-0.229 -1.201 3.890
-5.749 -6.746 0.619
-4.098 -2.763 3.893
-1.792 -5.186 0.619
-3.908 -6.774 5.142
____________
Millennials — those between ages 26 and 41, also sometimes called Generation Y — now represent the biggest population cohort in America. And while lots of them dream of homeownership, many find themselves priced out of the housing market. In fact, nearly half of millennials who do not yet own a home are pessimistic that they may ever be able to, according to a recent study on the generation by Opendoor.
Here, we take a closer look at the 2022 Millennial Homebuying Trends Report to learn more about this important demographic’s homeownership preferences, challenges and trends.
Millennials and homebuying
It’s clear that millennials who want to own a home face many hurdles, especially compared to older generations. A 2022 report by the National Association of Realtors reveals that Gen Y represents the largest share of homebuyers in the country, at 43 percent. That includes the biggest percentage of first-time purchasers as well.
However, 28 percent of Gen Y buyers had to delay saving for a down payment or purchasing a home for more than five years due to outstanding debt. They are also the most educated group of homebuyers, according to NAR, and younger millennials in particular had the highest share of student loan debt at 45 percent. The sacrifices millennials make to buy a home include spending less on entertainment, clothes and vacations; picking up a second job to earn extra income; and moving in with family or friends to save on rent.
What is an ‘unmortgaged millennial’?
“Unmortgaged millennials want to own a home, but they feel like the odds are stacked against them,” says Beatrice de Jong, consumer trends expert for Opendoor. Fact is, plenty of millennials have never owned a home. This study takes a magnifying glass to the generation, coining the term to refer to millennials who have yet to become homeowners, despite being at prime buying age. “We came to this term when trying to figure out how to classify this group,” says de Jong.
What millennials want — and don’t want
As it turns out, millennial desire to own a home is strong. The report contains some interesting findings, including:
- 69 percent of millennials would prefer homeownership to renting
- 54 percent want a home to raise a family in
- 51 percent yearn for better living conditions
- 50 percent are tired of paying rent to a landlord
- 62 percent are willing to relocate more than 50 miles away to purchase a home, with 1 in 5 prepared to move more than 500 miles away
- 52 percent have felt an increased urgency to own a home over the past year
- 49 percent aren’t confident they will ever become a homeowner
- 56 percent have less than $25,000 in savings
- 47 percent would be willing to delay vacations for five years if it saved them enough to buy a home
- 66 percent use real estate apps
Affordability, of course, is the biggest obstacle. Among the factors preventing millennials from purchasing are rising home prices (45 percent), low income (42 percent), poor credit (39 percent), job instability (31 percent) and outstanding debt (30 percent). Most rank saving for a down payment as their top financial goal, over paying off student loans (29 percent), saving for travel (22 percent) and saving for a new car (21 percent).
De Jong finds many of these results surprising. “We were heartened, for example, that unmortgaged millennials value real estate apps ahead of dating apps, travel apps and sports betting apps,” she says.
Here the piece breaks off for crystal structures:
(1)
Entry from the Materials Project: a relaxed structure of LiTi2S4 (PBE-GGA).

```
14
Lattice="-1.5866 -1.5624 6.8362 -6.5512 -2.4207 1.7071 -0.8923 -6.8453 2.0092" Properties=species:S:1:pos:R:3 pbc="T T T"
S -7.8241 -9.3823 9.1431
Ti -2.3682 -5.5574 5.7417
S -3.8791 -7.3418 4.9832
S -3.4634 -4.1532 4.0473
S -4.2025 -4.8810 7.2317
Ti -4.8505 -5.9866 3.1772
Ti -5.1976 -3.3451 5.5907
S -7.4084 -6.1937 8.2073
S -7.0850 -8.6545 5.9588
S -4.7725 -8.2547 8.3480
Ti -5.6438 -6.7678 6.5952
Li -2.2575 -2.7071 2.6381
S -6.5150 -5.2808 4.8425
Li 0.0000 0.0000 0.0000
```

## Properties
**Space-group type**: Fd-3m
**Energy relative to the elements**: -1.6359 eV per atom
**Relative energy among the computed polymorphs**: 0.043 eV/atom
**Spin magnetization**: 0.02 Bohr magnetons per cell
**V**: 262.8 Å³/cell



(2)
Entry from the Materials Project: a relaxed structure of Li4TiS4 (PBE-GGA).

```
36
Lattice="-0.1180 -3.6960 -4.9765 1.1157 -6.2470 4.6132 -14.1632 -1.4734 1.4300" Properties=species:S:1:pos:R:3 pbc="T T T"
Li -9.0652 -4.8446 2.3013
S -1.2004 -9.0718 1.2246
S -12.8092 -5.8200 -1.4477
S -8.2897 -10.0495 1.6152
Li -1.9964 -4.5092 1.0459
Li -10.6116 -10.0289 2.3261
S -0.3563 -5.5965 2.5145
Li -4.1003 -6.5718 -1.2345
S -5.7190 -4.8147 -1.8012
Li -0.0590 -1.8480 -2.4882
S -4.8758 -1.3670 -0.5484
Ti -0.5168 -7.9495 -0.6330
Li -1.0586 -4.9011 -3.0452
Li -11.1691 -6.9072 0.0209
S -4.3386 -4.3748 1.6728
S -5.4327 -8.1525 0.2809
Li -7.0816 -0.7367 0.7150
Li -6.5238 -3.8602 3.0216
S -0.6545 -2.6320 -0.0703
S -1.7376 -6.0639 -0.9966
Ti -12.6487 -3.4670 1.6998
Ti -5.5902 -3.4538 0.0105
Ti -7.5753 -7.9626 1.0562
Li -12.1069 -6.5154 4.1120
Li -3.5428 -9.6935 1.0708
Li -5.0533 -6.6563 2.2152
S -11.9651 -2.3447 -0.1579
S -11.4279 -5.3525 2.0633
Li -9.6227 -1.7229 -0.0040
S -12.5110 -8.7844 1.1371
S -8.8269 -7.0416 -0.6060
Li 0.4989 -4.9715 -0.1816
S -7.4465 -6.6017 2.8679
Li -2.5539 -1.3875 -1.2594
S -7.7328 -3.2639 0.7859
Li -8.1122 -4.7601 -1.1485
```

## Properties
**Space-group type**: Pnma
**Energy relative to the elements**: -1.5476 eV per atom
**Relative energy among the computed polymorphs**: 0.000 eV/atom
**V**: 696.1 Å³/cell



(3)
Entry from the Materials Project: a relaxed structure of Li8TiS6 (PBE-GGA).

```
60
Lattice="7.1001 0.0000 0.0000 0.0000 10.2603 0.0000 0.0000 0.0000 14.7006" Properties=species:S:1:pos:R:3 pbc="T T T"
Ti 1.9300 0.1330 5.5210
Ti 5.4801 5.2632 1.8293
Li 6.5096 1.9083 10.7446
S 5.2469 6.4892 3.7239
S 5.4033 6.4892 11.0742
S 5.3081 2.6651 12.8951
Li 6.6453 0.0816 3.5827
Li 6.6310 8.5371 1.1106
Li 1.5659 5.4314 8.2242
S 1.5468 1.4790 14.6884
Ti 1.6200 0.1330 12.8714
S 1.4886 5.1718 5.6020
S 1.7580 7.7953 9.1558
S 3.4165 9.0044 12.8519
S 5.5534 6.6092 0.0122
Li 3.8528 8.4281 3.1605
S 0.2378 4.0294 1.8609
Li 7.0187 8.0141 7.6427
Li 3.2473 3.2979 11.5401
Li 4.0049 0.0816 10.9330
Li 0.4548 5.2118 11.1179
Li 4.0192 8.5371 8.4609
S 1.8532 1.3590 10.9768
S 5.6115 0.0416 9.0986
S 1.7920 7.7953 1.8055
Li 0.7195 7.1063 13.7134
The crystal structures stop here:
Tom Parrish, head of Retail Lending Product Management at BMO Harris Bank in Chicago, says one thing in particular caught him off guard: millennials’ willingness to move a substantial distance away to purchase a home. “That willingness to relocate may be because of remote and flexible work environments becoming more common,” he says. “This expands the ability to find the right home, which could include discovering more affordable options, more space and a home in an area that meets that individual’s desired lifestyle.”
The generation’s disdain for renting also shines through, particularly being subject to a landlord’s rules and rent hikes. “Most millennial renters have probably experienced all of the little ways that renting makes life harder,” says Martin Orefice, founder of Rent To Own Labs in Chicago. “They don’t have the freedom to repair or renovate their living space, they may have to put up with showings and they don’t have much say in how close their neighbors get. These are all good reasons to aspire to homeownership.”
Major takeaways
Collectively, the statistics gleaned from the report paint a clear picture: Millennials see homeownership as a way to improve their lives. But sadly, the goal is still out of reach for much of this massive segment of the population.
“Our data show that the majority of millennials are willing to tackle short-term challenges in exchange for the long-term satisfaction of being a homeowner,” says de Jong. “Unmortgaged millennials prioritize saving money for a down payment, but they feel challenged by rising home prices and low income.”
It’s certainly true that median home prices have increased significantly in recent years. “As a result, many feel priced out of the housing market,” says Boyd Rudy, a broker with Dwellings in Plymouth, Michigan.
Parrish agrees. “The findings underscore the fact that millennials understand the value and financial benefits that owning a home brings,” he says. “Because rising home costs are a commonly reported challenge, it’s crucial to know what you can afford and to talk with a mortgage advisor who can explain loan options to prepare for the homebuying journey,” he says.
# Attached: data records
<<<
Record 1
# Sn2Pd (PBE, optimized geometry)
# - energy of formation from the pure elements (eV per atom) = -0.389
# - final energy (eV per atom) = -4.788
# - mass density (g/cm3) = 8.450
data_Sn2Pd
_symmetry_space_group_name_H-M 'I 41/a c d'
_symmetry_Int_Tables_number 142
_cell_length_a 6.602
_cell_length_b 6.602
_cell_length_c 24.806
_cell_angle_alpha 90.00
_cell_angle_beta 90.00
_cell_angle_gamma 90.00
loop_
_symmetry_equiv_pos_as_xyz
'x,y,z'
'-x,-y,-z'
'-y+1/4,x+3/4,z+1/4'
'y+1/4,-x+3/4,-z+1/4'
'-x+1/2,-y,z+1/2'
'x+1/2,y,-z+1/2'
'y+1/4,-x+1/4,z+3/4'
'-y+1/4,x+1/4,-z+3/4'
'x,-y,-z+1/2'
'-x,y,z+1/2'
'-y+1/4,-x+1/4,-z+1/4'
'y+1/4,x+1/4,z+1/4'
'-x+1/2,y,-z'
'x+1/2,-y,z'
'y+1/4,x+3/4,-z+3/4'
'-y+1/4,-x+3/4,z+3/4'
'x+1/2,y+1/2,z+1/2'
'-x+1/2,-y+1/2,-z+1/2'
'-y+3/4,x+1/4,z+3/4'
'y+3/4,-x+1/4,-z+3/4'
'-x,-y+1/2,z'
'x,y+1/2,-z'
'y+3/4,-x+3/4,z+1/4'
'-y+3/4,x+3/4,-z+1/4'
'x+1/2,-y+1/2,-z'
'-x+1/2,y+1/2,z'
'-y+3/4,-x+3/4,-z+3/4'
'y+3/4,x+3/4,z+3/4'
'-x,y+1/2,-z+1/2'
'x,-y+1/2,z+1/2'
'y+3/4,x+1/4,-z+1/4'
'-y+3/4,-x+1/4,z+1/4'
loop_
_atom_site_label
_atom_site_fract_x
_atom_site_fract_y
_atom_site_fract_z
Sn1 0.159 0.091 0.125
Sn2 0.248 0.000 0.750
Pd1 0.000 0.250 0.317

Record 2
# Sn13Pd20 (PBE, optimized geometry)
# - energy of formation from the pure elements (eV per atom) = -0.533
# - final energy (eV per atom) = -5.251
# - M_tot (μB per atom) = 0.000
# - mass density (g/cm3) = 10.242
data_Sn13Pd20
_symmetry_space_group_name_H-M 'C 1 2 1'
_symmetry_Int_Tables_number 5
_cell_length_a 15.426
_cell_length_b 8.966
_cell_length_c 17.217
_cell_angle_alpha 90.00
_cell_angle_beta 90.07
_cell_angle_gamma 90.00
loop_
_symmetry_equiv_pos_as_xyz
'x,y,z'
'-x,y,-z'
'x+1/2,y+1/2,z'
'-x+1/2,y+1/2,-z'
loop_
_atom_site_label
_atom_site_fract_x
_atom_site_fract_y
_atom_site_fract_z
Sn1 0.055 0.002 0.082
Sn2 0.057 0.500 0.745
Sn3 0.084 0.002 0.748
Sn4 0.084 0.500 0.081
Sn5 0.094 0.531 0.419
Sn6 0.094 0.976 0.413
Sn7 0.152 0.292 0.255
Sn8 0.152 0.708 0.253
Sn9 0.154 0.209 0.922
Sn10 0.155 0.792 0.923
Sn11 0.168 0.752 0.584
Sn12 0.185 0.253 0.586
Sn13 0.249 0.999 0.167
Pd1 0.000 0.254 0.500
Pd2 0.000 0.259 0.000
Pd3 0.000 0.746 0.000
Pd4 0.000 0.751 0.168
Pd5 0.000 0.753 0.500
Pd6 0.001 0.250 0.832
Pd7 0.001 0.752 0.665
Pd8 0.002 0.246 0.665
Pd9 0.080 0.010 0.576
Pd10 0.080 0.494 0.583
Pd11 0.091 0.501 0.910
Pd12 0.092 0.998 0.249
Pd13 0.159 0.253 0.420
Pd14 0.169 0.239 0.087
Pd15 0.169 0.762 0.085
Pd16 0.170 0.740 0.757
Pd17 0.172 0.263 0.752
Pd18 0.246 0.500 0.997
Pd19 0.248 0.002 0.665
Pd20 0.248 0.506 0.667
Pd21 0.250 0.001 0.833
Pd22 0.250 0.002 0.500

=====

# 1
Entry from the Materials Project database: PrEuNbVO6 after structural relaxation (GGA+U).

Calculated values
The total energy is -8.88 eV per atom.

```
data_PrEuNbVO6
_chemical_formula_sum 'Pr4 Eu4 Nb4 V4 O24'
_space_group_name_H-M_alt 'F -4 3 m'
_space_group_IT_number 216
_space_group_name_Hall 'F -4 2 3'
_cell_length_a 8.0654
_cell_length_b 8.0654
_cell_length_c 8.0654
_cell_angle_alpha 90.00
>>>
Getting on the path to homeownership
If you’re an unmortgaged millennial determined to own a place of your own, don’t give up on the dream. Take smart financial steps now to help strengthen your position as a prospective homebuyer.
- Work to pay down as much outstanding debt as possible, and aim to up your credit score, which can help you qualify for better loan options.
- “Get a good handle on your financials,” says Parrish. “Understand how much you have coming in, what you owe each month, what you have saved up and what you [will have left over] for the unexpected after making a down payment.”
- “It’s also a good idea to get preapproved for a mortgage early in the process, so that you know how much you can spend,” says Rudy.
- If you aren’t eligible for a conventional mortgage loan, explore alternative financing methods. “Federal agencies like the FHA, USDA and VA offer loans to first-time buyers with much lower down payment requirements,” Orefice points out.
- Follow along with Bankrate’s series of articles that guide first-time homebuyers through the journey — and get first-person advice from one of our own editors.